_Entries_
- - -
1.
This record from the Open Molecules 2025 dataset describes the molecule C4H8OS in a non-equilibrium geometry. The level of theory is the ωB97M-V functional and the def2-TZVPD basis.

Each line ends with the natural charge from an NBO analysis.
Cartesian coordinates (Å):
C 0.101 1.098 0.383  0.16
C 2.117 -0.075 -0.557  -0.12
C -1.812 -0.380 -0.173  -0.60
C -1.218 0.709 0.739  -0.49
O 1.009 0.145 0.118  -0.43
S 2.803 -1.675 -0.368  -0.05
H 0.488 2.104 0.451  0.16
H 2.947 0.611 -0.458  0.15
H -1.470 -0.223 -1.208  0.21
H -2.871 -0.374 -0.158  0.21
H -1.477 -1.353 0.105  0.21
H -0.955 0.160 1.685  0.22
H -1.938 1.513 0.923  0.24
H 2.277 -2.259 -1.480  0.12

- E_LUMO (alpha / beta) (eV) = 0.226 / 0.557
- HOMO (alpha / beta) (eV) = -7.33 / -7.76


2.
This record from the Open Molecules 2025 dataset describes a cluster of 2 separate species, CHFIPS in total in a non-equilibrium geometry. The level of theory is the ωB97M-V functional and the def2-TZVPD basis.

Each line ends with the natural charge from an NBO analysis.
Cartesian coordinates (Å):
C 0.963 -0.886 0.082  0.14
F 0.570 -1.286 1.336  -0.34
P -0.560 1.361 -0.836  0.24
S 2.019 -1.669 -0.788  0.10
I -2.879 0.903 -0.223  -0.08
H -0.112 1.577 0.430  -0.06

- E_LUMO (alpha / beta) (eV) = -1.658 / -1.782
- HOMO (alpha / beta) (eV) = -9.13 / -8.53


3.
This record from the Open Molecules 2025 dataset describes a cluster of 3 separate species, C7H14 in total. The level of theory is the ωB97M-V functional and the def2-TZVPD basis.

Each line ends with the natural charge from an NBO analysis.
Cartesian coordinates (Å):
C 0.548 -2.405 -0.383  -0.42
C 0.981 -1.535 -1.290  -0.16
C 0.272 -1.227 -2.577  -0.65
C 0.251 1.492 -0.439  -0.40
C -0.338 1.618 0.733  0.02
C -0.284 2.081 2.121  -0.45
C -1.564 1.489 1.523  -0.45
H 0.220 -0.947 1.524  0.02
H -0.405 -2.920 -0.495  0.19
H 1.128 -2.639 0.505  0.20
H 1.933 -1.029 -1.123  0.20
H 0.714 -1.805 -3.397  0.22
H -0.791 -1.483 -2.517  0.21
H 0.357 -0.171 -2.853  0.21
H 1.288 1.782 -0.593  0.20
H -0.293 1.095 -1.290  0.20
H 0.237 -0.698 2.225  -0.03
H 0.247 1.489 2.863  0.22
H -0.248 3.153 2.295  0.22
H -2.392 2.157 1.302  0.22
H -1.861 0.501 1.869  0.22

- E_LUMO (eV) = 1.219
- SMILES string = C=C1CC1.[H][H].C=CC
- HOMO (eV) = -9.33


4.
This record from the Open Molecules 2025 dataset describes a cluster of 5 separate species, C22H53Cl4O12P3 in total in a non-equilibrium geometry. The level of theory is the ωB97M-V functional and the def2-TZVPD basis.

Each line ends with the Löwdin charge.
Cartesian coordinates (Å):
Cl -20.910 23.440 7.040  0.51
C -22.347 22.456 7.560  -0.62
C -21.999 21.764 8.867  -0.65
Cl -20.947 20.338 8.590  0.54
H -22.559 21.793 6.721  0.06
H -23.208 23.105 7.720  0.07
H -22.925 21.473 9.363  0.07
H -21.468 22.476 9.499  0.06
Cl -15.193 21.058 8.016  0.62
C -16.031 20.108 9.196  -0.72
C -17.466 20.549 9.471  -0.63
Cl -18.345 19.416 10.575  0.51
H -15.403 20.161 10.085  0.04
H -15.931 19.064 8.899  0.06
H -17.985 20.603 8.514  0.03
H -17.483 21.547 9.910  0.07
C -16.610 12.217 5.754  -0.06
C -16.952 13.703 5.778  -0.27
O -16.457 14.417 4.630  -0.16
P -15.564 15.703 4.762  0.44
O -15.238 16.382 3.481  -0.24
O -14.300 15.232 5.651  -0.21
C -13.229 16.147 5.813  -0.25
C -12.406 15.381 6.903  -0.05
O -16.381 16.638 5.828  -0.21
C -17.651 17.246 5.521  -0.26
C -17.802 18.555 6.230  -0.07
H -15.526 12.109 5.777  0.08
H -17.150 11.737 6.571  0.08
H -17.066 11.762 4.875  0.08
H -17.997 13.947 5.967  0.12
H -16.458 14.112 6.659  0.10
H -12.641 16.163 4.895  0.12
H -13.554 17.155 6.069  0.11
H -13.078 15.206 7.743  0.07
H -11.958 14.447 6.562  0.08
H -11.634 16.118 7.123  0.06
H -17.670 17.447 4.449  0.12
H -18.406 16.499 5.765  0.11
H -17.573 18.456 7.291  0.06
H -17.028 19.223 5.852  0.08
H -18.817 18.953 6.212  0.08
C -15.101 15.744 10.938  -0.06
C -14.448 16.717 11.881  -0.34
O -14.037 17.830 11.211  -0.20
P -12.456 17.986 10.772  0.52
O -11.693 16.713 10.711  -0.24
O -12.671 18.760 9.348  -0.19
C -11.581 18.927 8.436  -0.26
- - -

_What to do_
Now find "-0.338 1.618" and "1.524" in the calculation results above, and give back these two lines and those between.

_Here it is_
C -0.338 1.618 0.733  0.02
C -0.284 2.081 2.121  -0.45
C -1.564 1.489 1.523  -0.45
H 0.220 -0.947 1.524  0.02